Wednesday, June 5, 2013

Google Reader is going away...

Do you use google reader to read all the blogs you follow? I will admit, I didn't even know this was an option until news broke that it was going away for good. And then I went and checked it out. And I shouldn't have. Because I loved it. Since it is going away I had to find a different way to read all my blogs. And here are the solutions I have found.

First- before finding out that google reader existed, I would simply go to my blogger dashboard and just read the posts at the bottom where it lists all the blogs I follow and all their posts.
This is a simple option if you use a blogger account.

Then someone mentioned feedly. I downloaded this app on my ipad and enjoyed it. Once you create an account, you can import all your blogs you follow from your google reader account with the click of a button. Simple.
And then I heard about bloglovin. It seems this was everyone's favorite. So I went and checked it out. Same idea as feedly. Create an account and it will transfer all your blogs you follow with the click of a button.
Now, I want you to look carefully at the titles of the posts that show up in each picture. You will notice that feedly directly matches what I would see on my blogger dashboard. But bloglovin is missing a couple posts and I also found out today that while my settings SHOW I am following someone's blog, their posts don't show up in my feed.

ETA... when I just went to bloglovin to look something up, my feed changed. I now see this...
This one directly matches my blogger feed without things missing. About 20 minutes ago when I looked the Book Study post was missing (as well as the one on top but I have been told it takes a little time delay to get the posts published).  I think I will continue to play around with both to see what works best for me...

I just found something else I like about bloglovin. When you click on one of the blogs (say I clicked on the top post up there), it will open in a new tab and you will find this at the top...
I can click the "older" button and it will take me right to the next post on my list (in this case it would be the True Story post).

What I don't love... when I try to leave a comment, it leaves that bloglovin page and I have to either go back or head back to the bloglovin main page and start again. But I think that is something I can get over because I wasn't having good luck posting comments from feedly on my ipad (I haven't tried from the computer yet).

I think this one just comes down to personal preference. They both have their perks, I suggest just trying them out and seeing which one you like best. If you already use one, which one do you use?
Follow my blog with Bloglovin


  1. I have been experimenting and thinking a lot about this lately too. Have you tried Google Plus yet? I like the format but a lot of the blogs I follow aren't on there...It will be a big change.

    BTW...Can you tell me what font you used in your post? I love it. Easy to read and still very cute. :)
    Brandee @ Creating Lifelong Learners

  2. I just opened a bloglovin account- I'd never heard of Google Reader either until I heard it was going, then I looked into it etc. I've managed to set up a "follow bloglovin" button on my blog too for people to click on- although apparently the Google Friend Connect isn't disappearing like people were saying- just the reader... so in summary I don't really know what's best haha! I just started playing with Bloglovin' because everybody else seemed to be!

    x Serena x
    Magic Mistakes & Mayhem

  3. I'm still trying to fall in love with BlogLovin'. I'm not there yet, but I'm trying ;)

The text is interrupted by crystal structures =
- - -
Entry 1:
Compound: Li3CoPCO7
Source: the Materials Project database
Functional: GGA+U
Structure: relaxed

The structure in POSCAR format:
```
Li3CoPCO7
1.0
6.449 0.000 0.000
-0.050 8.455 0.000
-0.056 -0.898 9.925
O C P Li Co
28 4 4 12 4
direct
0.237 0.838 0.254
0.940 0.687 0.918
0.247 0.435 0.297
0.566 0.691 0.913
0.438 0.308 0.586
0.063 0.309 0.584
0.751 0.065 0.026
0.749 0.892 0.682
0.251 0.928 0.470
0.747 0.419 0.913
0.755 0.155 0.747
0.748 0.074 0.528
0.765 0.575 0.204
0.254 0.580 0.587
0.250 0.433 0.795
0.246 0.103 0.311
0.755 0.569 0.704
0.249 0.926 0.975
0.748 0.422 0.411
0.939 0.694 0.420
0.745 0.146 0.248
0.252 0.107 0.820
0.243 0.581 0.087
0.563 0.693 0.410
0.058 0.308 0.089
0.242 0.844 0.756
0.760 0.886 0.181
0.440 0.316 0.090
0.752 0.038 0.149
0.244 0.961 0.347
0.751 0.039 0.652
0.247 0.962 0.851
0.246 0.410 0.139
0.753 0.590 0.362
0.750 0.582 0.861
0.251 0.413 0.638
0.744 0.901 0.882
0.750 0.341 0.107
0.744 0.909 0.384
0.014 0.278 0.365
0.526 0.723 0.625
0.486 0.276 0.365
0.982 0.726 0.627
0.251 0.102 0.615
0.006 0.274 0.885
0.251 0.109 0.109
0.522 0.719 0.124
0.488 0.276 0.887
0.256 0.662 0.891
0.751 0.332 0.605
0.986 0.732 0.128
0.250 0.664 0.397
```

Computed properties:
Final energy: -6.5641 eV/atom
Distance to the lowest polymorph of the same formula: 16 meV per atom
Formation energy from the elements: -2.282 eV per atom
Total magnetization: 12.0 μB per cell
Calculated density: 2881 kg/m³

=====

Entry 2:
Compound: Li6VCoP2C2O14
Source: the Materials Project database
Functional: GGA+U
Structure: relaxed

The structure in POSCAR format:
```
Li6VCoP2C2O14
1.0
0.472 4.979 6.541
-0.472 -4.980 6.542
8.497 0.136 0.000
O Li C P Co V
28 12 4 4 2 2
direct
0.637 0.797 0.307
0.377 0.873 0.837
0.136 0.297 0.307
0.322 0.929 0.103
0.363 0.201 0.694
0.460 0.290 0.425
0.453 0.613 0.306
0.953 0.114 0.307
0.863 0.701 0.694
0.167 0.583 0.569
0.335 0.915 0.436
0.118 0.632 0.158
0.661 0.589 0.933
0.835 0.415 0.436
0.667 0.083 0.569
0.877 0.373 0.837
0.960 0.790 0.425
0.049 0.887 0.694
0.044 0.206 0.576
0.835 0.915 0.067
0.821 0.429 0.103
0.178 0.572 0.893
0.335 0.415 0.067
0.618 0.132 0.158
0.678 0.072 0.893
0.161 0.088 0.933
0.549 0.387 0.694
0.544 0.706 0.576
0.477 0.273 0.896
0.145 0.877 0.278
0.645 0.377 0.278
0.522 0.728 0.106
0.126 0.392 0.724
0.022 0.228 0.106
0.626 0.892 0.724
0.373 0.105 0.278
0.858 0.124 0.724
0.977 0.773 0.896
0.358 0.623 0.723
0.873 0.605 0.278
0.286 0.964 0.960
0.786 0.464 0.960
0.711 0.039 0.036
0.211 0.539 0.036
0.010 0.740 0.590
0.510 0.240 0.590
0.992 0.258 0.412
0.492 0.758 0.412
0.731 0.519 0.670
0.231 0.019 0.670
0.271 0.479 0.327
0.771 0.979 0.327
```

Computed properties:
Final energy: -6.7198 eV/atom
Formation energy from the elements: -2.364 eV per atom
Total magnetization: 6.0 μB per cell
Calculated density: 2773 kg/m³

=====

Entry 3:
Compound: Li4Co2C4SO16
Source: the Materials Project database
Functional: GGA+U
Structure: relaxed

The structure in POSCAR format:
```
Li4Co2C4SO16
1.0
-5.183 -7.368 -1.578
- - -
The crystal structures stop here =

    Fun in Room 4B

  4. So will we still be able to read posts in our Blogger account ? I'm kind of used to doing it that way.

    Teach on a Limb

  5. @Mrs. G

    Yes as far as I know. That is how I usually read them too. I am trying to get used to using bloglovin though because it is a pretty good layout.

  6. I usually just read them on the blog feed too or by blog hopping. I haven't converted to blog lovin' yet, ugh. Do I need to? I have 150+ followers I don't want to lose and start over from 0 again on blog lovin' is this what would happen?

    Pinkadots Elementary

  7. I didn't know about Google Reader either until someone said it was disappearing. I don't have a blogger account, so I didn't even know that you could follow that way. I was clicking on buttons to read blogs and I was missing so many because I got behind with taking the links. I am now using Bloglovin and I am so happy to be able to keep up with the blogs that I am following.

    Charlene/Diamond Mom
    Diamond Mom's Treasury
